Sometimes, I start to hear people use a term a lot before I really understand what it means. If I’m being totally honest here, the very first time that I can remember this happening was with the phrase Fantasy Football. I’ve been a football fan since I was old enough to understand what it was, but before the Internet was standard in nearly every home, Fantasy Football was a much rarer thing. Once I started to hear about Fantasy Football every Sunday, though,I started to get some misconceptions in my head, namely that the game they were playing had nothing to do with the NFL version—which, if you play it, you know is completely untrue.
I don’t think I’m alone in saying that misconceptions taking hold like this happens a lot to all kinds of different people. I know I certainly see it happening in my line of work as a plumbing professional. Lately, in fact, I’ve been starting to talk to a lot of people who seem to all have the exact same question: what is low flow plumbing? These folks, who live all over our area from Sacramento down to Vacaville, seem to have heard a lot about it, but they just never have come right out and asked an expert exactly what low flow plumbing actually is.
So, that’s what I’d like to talk about here today: what is low flow plumbing, and why does it benefit homeowners to know all about it? Even if you already know or have never been curious, I’d urge you to stick with us. Knowing the details about low flow plumbing and how to take advantage of new low flow plumbing technology will ultimately bolster your home’s water efficiency—and save you money on your water bill.
What Is Low Flow Plumbing?
Simply put, low flow plumbing is a way for homeowners to decrease the flow of water in their faucets, aerators, toilets, and showerheads without necessarily decreasing the actual pressure of the water. With that in mind, homeowners may have already guessed what the central benefit of this is: you will inherently find yourself using less water on a month-to-month basis than you did before.
It’s pretty simple logic, really. If there’s less water coming out of your plumbing system, then it will ultimately cost you less to pay off your monthly water bill.
It’s pretty simple logic, really. If there’s less water coming out of your plumbing system, then it will ultimately cost you less to pay off your monthly water bill. You will, of course, also be helping out with the Northern California drought. That’s really nice, obviously, but, hey, if you can save some money for yourself at the same time, why not embrace that too?
How to Use Low Flow Plumbing Fixtures at Home
What generally happens after I tell folks about low flow plumbing is that they then want to know how they can use it in their homes. That’s a subject I’m always ready and excited to discuss. There are so many kinds of great low flow plumbing equipment choices, including special types of fixtures for your faucets, toilets, and showerheads.
One thing that I recommend anyone who is interested in this do is to call a local plumbing professional right away. Anyone who is well-versed on plumbing repair will also be able to give you all the info that you might need to decide if embracing low flow plumbing is a good move for your home. They can also help you take advantage of any potential Northern California plumbing rebate programs that can save you money on the purchase and installation costs associated with this decision.
What If I Have Some Concerns About Low Flow Plumbing?
The third and final question that almost always finds its way into a discussion about low flow plumbing is: what’s the catch? People naturally just don’t believe it when you say there’s a great new way for them to save some money every month. It’s most common for folks to worry that embracing low flow plumbing in order to bolster their home’s water efficiency will lead to showers with really weak water pressure.
…there are also new shower heads that use new technology that pushes water out with vacuum force, even when it’s low flow.
The low pressure question is definitely one that a trained plumber can help you address. Showerheads are the thing most commonly asked about, and, yes, low flow plumbing can reduce your pressure. However, there are also new shower heads that use new technology that pushes water out with vacuum force, even when it’s low flow. Make sure to ask a plumber about that. As far as toilets and sinks? Well, the chances are that you won’t even notice the low flow plumbing difference in those areas.
I personally use a number of low flow plumbing fixtures in my own home, from the toilet to the showerheads to the sinks, and I really like both saving money every month on my water bill—as well as feeling like I’m doing my part to be as efficient with my home’s water as possible. I’ve been using these things for so long that I can’t even remember if I noticed a difference right after I made the switch.
I would, of course, be more than happy to help you answer this question and any others that you might have about how to make your home more water efficient. Here at Bell Brothers, we have the expertise and the experience you need to ensure you’re making the best possible decision at all times. Give us a call today!
Between two parts of the entry: crystal structures =
No. 1
Ac3H3Pb: optimized geometry, PBE.

Computed properties:
* total magnetic moment: 0.8 μB/f.u.
* crystal system: hexagonal
* calculated total energy: -4.175 eV/atom
* V: 343.8 Å³/cell

CIF file:
```
data_Ac3H3Pb
_symmetry_space_group_name_H-M 'P 63/m'
_symmetry_Int_Tables_number 176
_symmetry_space_group_name_Hall '-P 6c'
_cell_length_a 9.1355
_cell_length_b 9.1355
_cell_length_c 4.7574
_cell_angle_alpha 90.00
_cell_angle_beta 90.00
_cell_angle_gamma 120.00
loop_
_atom_site_label
_atom_site_type_symbol
_atom_site_fract_x
_atom_site_fract_y
_atom_site_fract_z
Ac1 Ac 0.0730 0.7173 0.2500
H1 H 0.0449 0.8105 0.7500
Pb1 Pb 0.3333 0.6667 0.7500
```


No. 2
Ac4HPb3: optimized geometry, PBE.

Computed properties:
* total magnetic moment: 0.0 μB/f.u.
* crystal system: orthorhombic
* calculated total energy: -4.216 eV/atom
* V: 621.7 Å³/cell

CIF file:
```
data_Ac4HPb3
_symmetry_space_group_name_H-M 'P m n 21'
_symmetry_Int_Tables_number 31
_cell_length_a 13.4833
_cell_length_b 6.8024
_cell_length_c 6.7787
_cell_angle_alpha 90.00
_cell_angle_beta 90.00
_cell_angle_gamma 90.00
loop_
_symmetry_equiv_pos_as_xyz
'x,y,z'
'-x+1/2,-y,z+1/2'
'-x,y,z'
'x+1/2,-y,z+1/2'
loop_
_atom_site_label
_atom_site_type_symbol
_atom_site_fract_x
_atom_site_fract_y
_atom_site_fract_z
Ac1 Ac 0.0000 0.1985 0.0000
Ac2 Ac 0.0000 0.7646 0.5557
Ac3 Ac 0.2495 0.2615 0.5011
H1 H 0.0000 0.8364 0.9199
Pb1 Pb 0.0000 0.2695 0.4969
Pb2 Pb 0.2503 0.2369 0.9969
```


No. 3
Ac4HPb2: optimized geometry, PBE.

Computed properties:
* E above lowest polymorph: 0.0000 eV/atom
* total magnetic moment: 0.0 μB/f.u.
* crystal system: monoclinic
* calculated total energy: -4.318 eV/atom
* V: 487.1 Å³/cell

CIF file:
```
data_Ac4HPb2
_symmetry_space_group_name_H-M 'P 1 21/m 1'
_symmetry_Int_Tables_number 11
_cell_length_a 7.0134
_cell_length_b 7.3032
_cell_length_c 10.0860
_cell_angle_alpha 90.00
_cell_angle_beta 109.47
_cell_angle_gamma 90.00
loop_
_symmetry_equiv_pos_as_xyz
'x,y,z'
'-x,-y,-z'
'-x,y+1/2,-z'
'x,-y+1/2,z'
loop_
_atom_site_label
_atom_site_type_symbol
_atom_site_fract_x
_atom_site_fract_y
_atom_site_fract_z
Ac1 Ac 0.0289 0.0009 0.2829
Ac2 Ac 0.3814 0.7500 0.0668
Ac3 Ac 0.4281 0.7500 0.6408
H1 H 0.2248 0.7500 0.8050
Pb1 Pb 0.1919 0.2500 0.0367
Pb2 Pb 0.3138 0.2500 0.5911
```


No. 4
Ac2H3Pb: optimized geometry, PBE.

Computed properties:
* total magnetic moment: 0.0 μB/f.u.
* crystal system: monoclinic
* calculated total energy: -4.195 eV/atom
* V: 520.5 Å³/cell

CIF file:
```
data_Ac2H3Pb
_symmetry_space_group_name_H-M 'C 1 2/m 1'
_symmetry_Int_Tables_number 12
_cell_length_a 16.2432
_cell_length_b 4.1956
_cell_length_c 8.2876
_cell_angle_alpha 90.00
_cell_angle_beta 112.84
_cell_angle_gamma 90.00
loop_
_symmetry_equiv_pos_as_xyz
'x,y,z'
'-x,-y,-z'
'-x,y,-z'
'x,-y,z'
'x+1/2,y+1/2,z'
'-x+1/2,-y+1/2,-z'
'-x+1/2,y+1/2,-z'
'x+1/2,-y+1/2,z'
loop_
_atom_site_label
_atom_site_type_symbol
_atom_site_fract_x
_atom_site_fract_y
_atom_site_fract_z
Ac1 Ac 0.0304 0.0000 0.2801
At Bell Brothers, our trained plumbing professionals would be happy to answer the question of what is low flow plumbing, as well as any other questions you may have about the water efficiency situation in your home. Contact us today to schedule a free in-home consultation.
Image courtesy KarlyukAV